### Listing
'''
Structure and theoretical XRD peak list of IrN2 (DFT lattice parameters and positions (GGA-PBE); Cu Kα, 1.54184 Å).
No peak broadening, texture or thermal motion is included.

```
data_IrN2
_chemical_formula_sum 'Ir2 N4'
_cell_length_a 3.0949
_cell_length_b 3.0949
_cell_length_c 7.4955
_cell_angle_alpha 90.00
_cell_angle_beta 90.00
_cell_angle_gamma 120.00
_symmetry_space_group_name_H-M 'P 63/m m c'
_symmetry_Int_Tables_number 194
_symmetry_space_group_name_Hall '-P 6c 2c'
loop_
_atom_site_label
_atom_site_fract_x
_atom_site_fract_y
_atom_site_fract_z
Ir1 0.3333 0.6667 0.2500
N1 0.0000 0.0000 0.0836
```

Largest 8 diffraction maxima, in order of rising 2θ, 2θ = 15–90°:
| 2θ/deg | intensity |
| --- | --- |
| 23.74 | 53 |
| 35.57 | 100 |
| 41.42 | 28 |
| 49.90 | 39 |
| 59.76 | 19 |
| 65.23 | 21 |
| 71.52 | 13 |
| 72.20 | 13 |

----------

Simulated powder diffractogram of MnCuN2F for Cu Kα, 1.54184 Å, from a PBE+U-relaxed structure.
Kinematic intensities with the Lorentz-polarization factor, no thermal factor.

Cell and atoms:
```
data_MnCuN2F
_symmetry_space_group_name_H-M 'P 1'
_symmetry_Int_Tables_number 1
_cell_length_a 3.826
_cell_length_b 3.826
_cell_length_c 3.962
_cell_angle_alpha 90.00
_cell_angle_beta 90.00
_cell_angle_gamma 90.00
loop_
_symmetry_equiv_pos_as_xyz
'x,y,z'
loop_
_atom_site_label
_atom_site_type_symbol
_atom_site_fract_x
_atom_site_fract_y
_atom_site_fract_z
Mn1 Mn 0.000 0.000 0.000
Cu1 Cu 0.500 0.500 0.500
N1 N 0.000 0.500 0.000
N2 N 0.500 0.000 0.000
F1 F 0.000 0.000 0.500
```

Most intense lines, 5 to 70 degrees two-theta, by intensity:
hkl	two_theta	I (rel.)
1 0 1	32.54	100
1 1 0	33.11	60
2 0 0	47.53	42
2 1 1	58.79	34
2 0 2	68.15	24
0 0 2	45.81	24
1 1 2	57.68	23
1 1 1	40.37	17
'''

### Assignment
Set down only the lines further up with the word "no" in them, please.

### Here it is
Kinematic intensities with the Lorentz-polarization factor, no thermal factor.